# Wanted
The reader should give back all of the rows further down with every line break kept.
# Data
____________
Starting from a structure optimized by DFT (GGA+U), the powder XRD pattern of MnSbO4 was calculated for Cu Kα, 1.54184 Å.

Largest 8 diffraction maxima, sorted by position, 5° ≤ 2θ ≤ 70°:
- d 4.896, 18.12°, I 9.9
- d 3.698, 24.06°, I 100.0
- d 2.527, 35.52°, I 16.5
- d 2.447, 36.73°, I 37.7
- d 1.997, 45.41°, I 23.0
- d 1.758, 52.03°, I 37.9
- d 1.547, 59.76°, I 13.8
- d 1.413, 66.15°, I 14.5

Cell: 5.6523 5.6523 5.6485 Å, 90.00 90.00 120.04°
Element x y z (fractional)
Mn (0.2352, 0.7648, 0.7500)
Mn (0.7648, 0.2352, 0.2500)
Sb (0.2586, 0.2586, 0.0000)
Sb (0.7414, 0.7414, 0.5000)
O (0.0331, 0.9669, 0.7500)
O (0.0485, 0.4499, 0.0196)
____________
# Worked solution
Starting from a structure optimized by DFT (GGA+U), the powder XRD pattern of MnSbO4 was calculated for Cu Kα, 1.54184 Å.

Largest 8 diffraction maxima, sorted by position, 5° ≤ 2θ ≤ 70°:
- d 4.896, 18.12°, I 9.9
- d 3.698, 24.06°, I 100.0
- d 2.527, 35.52°, I 16.5
- d 2.447, 36.73°, I 37.7
- d 1.997, 45.41°, I 23.0
- d 1.758, 52.03°, I 37.9
- d 1.547, 59.76°, I 13.8
- d 1.413, 66.15°, I 14.5

Cell: 5.6523 5.6523 5.6485 Å, 90.00 90.00 120.04°
Element x y z (fractional)
Mn (0.2352, 0.7648, 0.7500)
Mn (0.7648, 0.2352, 0.2500)
Sb (0.2586, 0.2586, 0.0000)
Sb (0.7414, 0.7414, 0.5000)
O (0.0331, 0.9669, 0.7500)
O (0.0485, 0.4499, 0.0196)